(Exercise)
The reader should find the line further down that holds "0.147 0.096", then duplicate that line and all lines after it there.
(Input)
~~~
Entry 1:
RbHSO4 GGA-PBE optimized geometry; magnetization = 0.00 μB per formula unit; energy relative to the elements = -1.9564 eV/atom; corrected total energy (MP2020 scheme) = -5.999 eV/atom; space-group type = No. 7; distance to the lowest polymorph of the same formula = 0.0 kJ/mol of atoms
1.0
14.687 0.000 0.000
0.000 4.655 0.000
-7.764 0.000 13.042
Rb H S O
8 8 8 32
direct
0.000 0.021 0.000 Rb
0.000 0.979 0.500 Rb
0.254 0.410 0.421 Rb
0.254 0.590 0.921 Rb
0.500 0.135 0.250 Rb
0.500 0.865 0.750 Rb
0.750 0.427 0.671 Rb
0.750 0.573 0.171 Rb
0.247 0.031 0.723 H
0.247 0.969 0.223 H
0.508 0.414 0.943 H
0.508 0.586 0.443 H
0.752 0.036 0.975 H
0.752 0.964 0.475 H
0.999 0.431 0.699 H
0.999 0.569 0.199 H
0.003 0.007 0.257 S
0.003 0.993 0.757 S
0.253 0.457 0.666 S
0.253 0.543 0.166 S
0.502 0.026 0.013 S
0.502 0.974 0.513 S
0.748 0.468 0.914 S
0.748 0.532 0.414 S
0.039 0.245 0.217 O
0.039 0.755 0.717 O
0.090 0.115 0.852 O
0.090 0.885 0.352 O
0.158 0.498 0.066 O
0.158 0.502 0.566 O
0.224 0.234 0.727 O
0.224 0.766 0.227 O
0.286 0.285 0.232 O
0.286 0.715 0.732 O
0.341 0.335 0.659 O
0.341 0.665 0.159 O
0.406 0.113 0.013 O
0.406 0.887 0.513 O
0.497 0.270 0.478 O
0.497 0.730 0.978 O
0.507 0.206 0.926 O
0.507 0.794 0.426 O
0.599 0.091 0.111 O
0.599 0.909 0.611 O
0.661 0.343 0.819 O
0.661 0.657 0.319 O
0.712 0.285 0.450 O
0.712 0.715 0.950 O
0.782 0.235 0.003 O
0.782 0.765 0.503 O
0.843 0.469 0.409 O
0.843 0.531 0.909 O
0.910 0.084 0.263 O
0.910 0.916 0.763 O
0.964 0.236 0.671 O
0.964 0.764 0.171 O

---

Entry 2:
RbSmH8S2O12 GGA-PBE optimized geometry; magnetization = 0.00 μB per formula unit; energy relative to the elements = -1.9017 eV/atom; corrected total energy (MP2020 scheme) = -6.089 eV/atom; space-group type = No. 14
1.0
6.708 0.000 0.000
0.000 19.144 0.000
-0.877 0.000 8.615
Rb Sm H S O
4 4 32 8 48
direct
0.149 0.218 0.119 Rb
0.149 0.282 0.619 Rb
0.851 0.718 0.381 Rb
0.851 0.782 0.881 Rb
0.346 0.622 0.717 Sm
0.346 0.878 0.217 Sm
0.654 0.122 0.783 Sm
0.654 0.378 0.283 Sm
0.020 0.070 0.337 H
0.020 0.430 0.837 H
0.199 0.103 0.447 H
0.199 0.397 0.947 H
0.203 0.568 0.390 H
0.203 0.932 0.890 H
0.253 0.523 0.012 H
0.253 0.977 0.512 H
0.267 0.036 0.239 H
0.267 0.464 0.739 H
0.310 0.637 0.354 H
0.310 0.863 0.854 H
0.328 0.027 0.068 H
0.328 0.473 0.568 H
0.366 0.592 0.058 H
0.366 0.908 0.558 H
0.634 0.092 0.442 H
0.634 0.408 0.942 H
0.672 0.527 0.432 H
0.672 0.973 0.932 H
0.690 0.137 0.146 H
0.690 0.363 0.646 H
0.733 0.536 0.261 H
0.733 0.964 0.761 H
0.747 0.023 0.488 H
0.747 0.477 0.988 H
0.797 0.068 0.110 H
0.797 0.432 0.610 H
0.801 0.603 0.053 H
0.801 0.897 0.553 H
0.980 0.570 0.163 H
0.980 0.930 0.663 H
0.198 0.076 0.772 S
0.198 0.424 0.272 S
0.373 0.724 0.094 S
0.373 0.776 0.594 S
0.627 0.224 0.406 S
0.627 0.276 0.906 S
0.802 0.576 0.728 S
0.802 0.924 0.228 S
0.016 0.117 0.790 O
0.016 0.383 0.290 O
0.147 0.096 0.337 O
0.147 0.404 0.837 O
0.149 0.002 0.738 O
0.149 0.498 0.238 O
0.186 0.740 0.629 O
0.186 0.760 0.129 O
0.240 0.614 0.436 O
0.240 0.886 0.936 O
0.306 0.107 0.644 O
0.306 0.393 0.144 O
0.310 0.564 0.967 O
0.310 0.936 0.467 O
0.311 0.001 0.165 O
0.311 0.499 0.665 O
0.343 0.081 0.915 O
0.343 0.419 0.415 O
0.361 0.705 0.928 O
0.361 0.795 0.428 O
0.413 0.660 0.190 O
0.413 0.840 0.690 O
0.460 0.225 0.871 O
0.460 0.275 0.371 O
0.540 0.725 0.629 O
0.540 0.775 0.129 O
0.587 0.160 0.310 O
0.587 0.340 0.810 O
0.639 0.205 0.572 O
0.639 0.295 0.072 O
0.657 0.581 0.585 O
0.657 0.919 0.085 O
0.689 0.501 0.335 O
0.689 0.999 0.835 O
0.690 0.064 0.533 O
0.690 0.436 0.033 O
0.694 0.607 0.856 O
0.694 0.893 0.356 O
0.760 0.114 0.064 O
0.760 0.386 0.564 O
0.814 0.240 0.871 O
0.814 0.260 0.371 O
0.851 0.502 0.762 O
0.851 0.998 0.262 O
0.853 0.596 0.163 O
0.853 0.904 0.663 O
0.984 0.617 0.710 O
0.984 0.883 0.210 O

* * * * *

# 1
First-principles (PBE) data for a relaxed structure of Li7Ge2, as listed in the Materials Project database.

abc: 8.060 8.060 4.481
angles: 90.00 90.00 110.27
Atoms (fractional coordinates):
Li (0.980, 0.657, 0.000)
~~~
(Written answer)
0.147 0.096 0.337 O
0.147 0.404 0.837 O
0.149 0.002 0.738 O
0.149 0.498 0.238 O
0.186 0.740 0.629 O
0.186 0.760 0.129 O
0.240 0.614 0.436 O
0.240 0.886 0.936 O
0.306 0.107 0.644 O
0.306 0.393 0.144 O
0.310 0.564 0.967 O
0.310 0.936 0.467 O
0.311 0.001 0.165 O
0.311 0.499 0.665 O
0.343 0.081 0.915 O
0.343 0.419 0.415 O
0.361 0.705 0.928 O
0.361 0.795 0.428 O
0.413 0.660 0.190 O
0.413 0.840 0.690 O
0.460 0.225 0.871 O
0.460 0.275 0.371 O
0.540 0.725 0.629 O
0.540 0.775 0.129 O
0.587 0.160 0.310 O
0.587 0.340 0.810 O
0.639 0.205 0.572 O
0.639 0.295 0.072 O
0.657 0.581 0.585 O
0.657 0.919 0.085 O
0.689 0.501 0.335 O
0.689 0.999 0.835 O
0.690 0.064 0.533 O
0.690 0.436 0.033 O
0.694 0.607 0.856 O
0.694 0.893 0.356 O
0.760 0.114 0.064 O
0.760 0.386 0.564 O
0.814 0.240 0.871 O
0.814 0.260 0.371 O
0.851 0.502 0.762 O
0.851 0.998 0.262 O
0.853 0.596 0.163 O
0.853 0.904 0.663 O
0.984 0.617 0.710 O
0.984 0.883 0.210 O

* * * * *

# 1
First-principles (PBE) data for a relaxed structure of Li7Ge2, as listed in the Materials Project database.

abc: 8.060 8.060 4.481
angles: 90.00 90.00 110.27
Atoms (fractional coordinates):
Li (0.980, 0.657, 0.000)